Mock Parts
It can be hard to visualize and measure items such as extrusions and plates given how complex and intricate printer construction can be. A great approach to building your printer would be to build it 'virtually' in a modeling environment like Fusion 3D. In addition, the parts in this printer system are plainly design so that they can be easily modified for new components or different setups. While you can import all of the parts designed for the system that doesn't help you calculate how long your extrusions should be or where a stepper motor might intefere with a tool mount.
In this section you'll find a set of 'mock' parts that are visually and dimensionally similar to the actual purchased part. These files are a 'step' designed to be imported and manipulated vs 'stl' designed for 3D printing. All of the screenshots on the prior pages used these models in the 'virtual construction' and display of that faux printer. The files themselves can be found here.
Extrusions and Rails:
- 2020 Extrusion Profile - A small section of 2020 extrusion that can be oriented and extruded in your modeler.
- 2040 Extrusion Profile - A small section of 2040 extrusion that can be oriented and extruded in your modeler.
- MGN12H Linear Rail - Small section of MGN12 rail with a MGN12H block. The rail can be oriented and extruded in your modeler.
- 2020 Corner - Small 2020 corner. These generally require two short M5 bolts (8mm or less) and boat nuts.
- 2040 Corner - Larger 20mm x 40mm corner. These generally require four normal M4 bolts (10-12mm) and boat nuts.
Control Boards and Pis
- SKR 1.4 Board - simple mock of the SKR 1.4
- MKS 1.4 Board - simple mock of the MKS 1.4L
- BTT Octopus - simple mock of the Octopus control board
- Pi 4 - simple mock of the Raspberry Pi 4B
- Pi 3B - simple mock of the Raspberry Pi 3B
- Pi Zero 2w - simple mock of the Raspberry Pi Zero 2w
- Mock Budget LCD - simple mock of the RepRap budget LCD
Bearings, Clamps, Magnets, Stepper
- Countersunk Magnet - 'cup' magnets used for triple-Z gantry
- 8mm Linear Rod Shaft Support - clamps for 8mm smooth rods
- LMF8UU Bearing - Circular bearing used to keep carriage in alignment with an 8mm smooth rod.
- 8mm Pillow Bearing - Mounts for 8mm threaded rods
- T8 Lead Screw Nut - Circular nut that used for position along an 8mm threaded rod.
- GT2 6mm Toothless Pulley - used for positioning, tensioning, and redirecting 6mm GT2 belts.
- GT2 Timing 5mm - 20 tooth timing pulley with a 5mm bore for 6mm GT2 belts.
- GT2 Timing 8mm - 20 tooth timing pulley with an 8mm bore for 6mm GT2 belts.
- NEMA 17 Stepper - simple mock of a standard size 42n NEMA 17 stepper motor.
Extruders, Hotends, Sensors
- E3D V6 - this is the standard cylindrical radiator with standard heater block.
- Titan Extruder - E3D Titan with the E3D V6 radiator and heater block attached.
- BL Touch v2 - BLTouch w/ pin extension. Note that clone touches may be slightly different dimensions.
- Small Endstop - the smallest physical switch endstop.
Here the piece breaks off for calculated molecules:
~~~
Entry 1:
Below is 14 unconnected molecules or ions with the total composition C30H85F6N4O17S2, with properties calculated with ωB97M-V/def2-TZVPD.

```
144
C30H85F6N4O17S2 ωB97M-V/def2-TZVPD
C -2.281 1.645 -0.949
F -3.481 1.080 -1.106
F -2.022 2.408 -2.013
F -2.292 2.385 0.148
S -1.037 0.276 -0.760
O -0.992 0.086 0.656
O -1.502 -0.796 -1.566
N 0.326 1.004 -1.332
S 1.553 0.220 -0.663
O 2.054 0.832 0.540
O 1.335 -1.191 -0.582
C 2.860 0.451 -1.914
F 2.660 -0.357 -2.944
F 2.889 1.716 -2.332
F 4.039 0.165 -1.357
C 0.686 4.035 0.655
O 0.281 3.901 -0.702
H 0.494 5.068 0.952
H 0.094 3.392 1.318
H 1.746 3.803 0.797
H 0.257 2.952 -0.901
C 4.931 4.422 -1.559
O 4.212 5.028 -2.622
H 5.143 3.402 -1.874
H 5.902 4.909 -1.404
H 4.350 4.372 -0.634
H 3.940 5.910 -2.360
C -2.128 5.784 -2.485
O -2.726 7.077 -2.377
H -1.088 5.826 -2.169
H -2.642 5.045 -1.869
H -2.177 5.411 -3.512
H -3.501 7.017 -1.815
C 2.138 -0.685 4.153
O 3.271 0.079 4.542
H 2.351 -1.732 4.360
H 1.221 -0.344 4.650
H 1.936 -0.599 3.073
H 3.208 0.944 4.081
C -6.679 0.901 -1.480
C -6.184 0.100 -0.316
O -6.498 0.768 0.894
H -6.161 1.854 -1.595
H -7.756 1.058 -1.417
H -6.505 0.348 -2.412
H -5.100 -0.079 -0.389
H -6.626 -0.909 -0.344
H -5.926 0.393 1.602
C -4.500 -3.753 -0.957
C -3.472 -2.972 -0.164
O -3.977 -2.757 1.144
H -5.452 -3.217 -0.932
H -4.690 -4.748 -0.545
H -4.213 -3.885 -2.002
H -3.292 -2.014 -0.664
H -2.496 -3.475 -0.146
H -3.283 -2.331 1.673
C -0.317 -1.023 -4.663
C -0.953 0.352 -4.780
O -0.088 1.338 -4.231
H 0.655 -1.054 -5.166
H -0.956 -1.835 -5.007
H -0.033 -1.152 -3.615
H -1.913 0.340 -4.250
H -1.105 0.665 -5.813
H -0.007 1.176 -3.276
C -5.310 3.967 -0.543
C -5.967 4.727 0.599
O -6.973 5.616 0.129
H -4.965 4.698 -1.279
H -6.007 3.288 -1.037
H -4.458 3.376 -0.219
H -5.254 5.350 1.135
H -6.387 4.001 1.308
H -7.662 5.087 -0.285
C 0.144 -3.882 -2.529
C 0.146 -5.135 -1.669
O 0.346 -6.346 -2.419
H -0.645 -3.895 -3.288
H 1.098 -3.735 -3.036
H -0.080 -3.025 -1.889
H -0.805 -5.161 -1.125
H 0.944 -5.060 -0.940
H -0.489 -6.565 -2.841
C 6.131 2.054 -4.252
C 5.607 0.796 -4.911
O 6.468 -0.281 -4.494
H 7.178 2.204 -4.510
H 6.016 1.967 -3.171
H 5.563 2.930 -4.573
H 5.662 0.908 -5.998
H 4.585 0.592 -4.586
H 6.311 -1.040 -5.061
C 5.493 3.358 3.512
C 4.838 2.548 2.422
C 5.527 1.227 2.162
O 6.879 1.376 1.778
C 7.062 1.892 0.494
N 3.428 2.278 2.757
H 5.203 4.411 3.479
H 6.575 3.353 3.343
H 5.292 2.928 4.493
H 4.852 3.135 1.488
H 4.979 0.678 1.381
H 5.532 0.603 3.057
H 6.942 2.982 0.448
H 6.378 1.424 -0.228
H 8.074 1.636 0.179
H 3.002 3.174 2.971
H 2.927 1.880 1.964
C -0.055 -7.567 2.874
C 0.752 -7.374 1.594
C 1.509 -6.067 1.586
O 0.550 -5.032 1.494
C 1.102 -3.753 1.699
N 1.742 -8.471 1.462
H -0.623 -6.677 3.133
H 0.577 -7.865 3.718
H -0.747 -8.411 2.756
H 0.044 -7.356 0.757
H 2.117 -6.024 0.669
H 2.132 -5.937 2.477
H 1.528 -3.655 2.705
H 0.324 -3.019 1.504
H 1.913 -3.566 0.980
H 2.064 -8.501 0.496
H 1.256 -9.358 1.576
C -3.481 1.703 2.964
C -3.504 0.203 2.714
C -2.448 -0.475 3.565
O -2.455 -1.875 3.343
~~~
Full Showcase
The 'Showcase' model represents a complete printer build (minus fasteners). It may be a good starting point for your design.